# Given
=====
# PrSmSe4
Theoretical XRD peak list, Cu Kα, 1.54184 Å. Input: a crystal structure in OQMD, relaxed with PBE.

Structural model:
abc: 4.1496 4.1496 8.5779
angles: 90.00 90.00 90.00
Space group P4mm (No. 99)
Inequivalent atoms, fractional coordinates:
Pr 0.0000 0.0000 0.0000 x1
Sm 0.5000 0.5000 0.5466 x1
Se 0.0000 0.0000 0.6391 x1
Se 0.0000 0.5000 0.2764 x2
Se 0.5000 0.5000 0.9012 x1

Principal peaks in the range 10 to 90 degrees two-theta, in order of rising 2θ:
2θ (°)	intensity	h k l
23.8	45.3	1 0 1
30.5	35.6	1 1 0
31.3	32.6	0 0 3
32.2	69.8	1 1 1
37.1	100.0	1 1 2
38.2	59.8	1 0 3
43.6	58.0	2 0 0
54.7	26.3	2 0 3
59.4	32.9	2 1 3
75.8	24.6	3 1 2


# 1
# Pm2In3Au4
Theoretical powder X-ray diffraction pattern, Cu Kα X-rays. Input: a crystal structure in Alexandria, relaxed with PBE.

Structure:
Cell lengths 6.184, 16.726, 8.076 Å; angles 90.00, 90.00, 90.00 degrees
Space group Cmce (No. 64)
Asymmetric unit:
Pm 0.000 0.104 0.093 x8
In 0.000 0.000 0.500 x4
In 0.250 0.228 0.750 x8
Au 0.000 0.172 0.464 x8
Au 0.250 0.058 0.750 x8

Principal peaks in the range 2θ = 10–80°, sorted by position:
Position (°2θ)	I (rel.)	(hkl)
32.38	68	1 5 1
32.81	56	2 2 1
34.02	29	0 6 1
35.02	50	0 2 3
36.13	20	2 4 0
36.60	100	2 0 2
39.27	33	0 6 2
43.72	19	2 6 0
59.83	21	4 0 0
64.46	20	2 6 4

=====

# 2
# PmIn3Au3
Theoretical powder X-ray diffraction pattern, Cu Kα X-rays. Input: a crystal structure in Alexandria, relaxed with PBE.

Structure:
Cell lengths 7.992, 4.866, 8.841 Å; angles 90.00, 108.30, 90.00 degrees
Space group P2_1/m (No. 11)
Asymmetric unit:
Pm 0.129 0.250 0.290 x2
In 0.219 0.250 0.699 x2
In 0.292 0.750 0.023 x2
In 0.476 0.750 0.763 x2
Au 0.053 0.250 0.929 x2
Au 0.138 0.750 0.507 x2
Au 0.428 0.750 0.378 x2

Principal peaks in the range 2θ = 10–80°, sorted by position:
Position (°2θ)	I (rel.)	(hkl)
29.86	30	2 1 0
33.05	100	1 1 2
33.29	18	2 0 -3
33.65	29	3 0 -1
36.95	75	0 2 0
37.07	33	0 1 3
38.22	88	2 1 -3
38.53	50	3 1 -1
50.83	18	3 2 -1
61.61	17	3 2 2

=====

# 3
# PmSc2InAu4
Theoretical powder X-ray diffraction pattern, Cu Kα X-rays. Input: a crystal structure in Alexandria, relaxed with PBE.

Structure:
Cell lengths 4.7611, 4.7611, 26.4014 Å; angles 90.00, 90.00, 120.00 degrees
Space group R-3m (No. 166, hexagonal axes)
Asymmetric unit:
Pm 0.0000 0.0000 0.0000 x3
Sc 0.0000 0.0000 0.2393 x6
In 0.0000 0.0000 0.5000 x3
Au 0.0000 0.0000 0.1192 x6
Au 0.0000 0.0000 0.3898 x6

Principal peaks in the range 2θ = 10–80°, sorted by position:
Position (°2θ)	I (rel.)	(hkl)
22.59	21	0 1 2
25.47	34	1 0 4
34.82	97	0 1 8
37.79	100	1 1 0
40.57	27	1 0 10
52.32	30	2 0 8
66.33	30	1 2 8
68.24	18	3 0 0
70.12	11	2 1 10
76.25	15	1 1 18

=====

# 4
# PrInAu6
Theoretical powder X-ray diffraction pattern, Cu Kα X-rays. Input: a crystal structure in Alexandria, relaxed with PBE.

Structure:
Cell lengths 4.590, 6.685, 5.472 Å; angles 90.00, 90.00, 90.00 degrees
Space group Pmm2 (No. 25)
Asymmetric unit:
Pr 0.000 0.000 0.000 x1
In 0.500 0.500 0.308 x1
Au 0.000 0.268 0.489 x2
Au 0.000 0.500 0.996 x1
Au 0.500 0.000 0.424 x1
Au 0.500 0.283 0.820 x2

Principal peaks in the range 2θ = 10–80°, sorted by position:
Position (°2θ)	I (rel.)	(hkl)
31.36	19	0 2 1
32.73	14	0 0 2
37.11	100	1 2 1
38.30	35	1 0 2
39.26	30	2 0 0
51.08	10	2 2 1
57.57	14	0 2 3
68.94	9	1 4 2
69.75	17	3 2 1
71.90	13	2 2 3

=====

# 5
# Pr3In2Au2
Theoretical powder X-ray diffraction pattern, Cu Kα X-rays. Input: a crystal structure in Alexandria, relaxed with PBE.

Structure:
Cell lengths 4.584, 22.507, 3.690 Å; angles 90.00, 90.00, 90.00 degrees
Space group Cmmm (No. 65)
Asymmetric unit:
Pr 0.000 0.000 0.000 x2
Pr 0.000 0.165 0.000 x4
In 0.000 0.421 0.500 x4
Au 0.000 0.288 0.500 x4

Principal peaks in the range 2θ = 10–80°, sorted by position:
Position (°2θ)	I (rel.)	(hkl)
31.37	63	1 1 1
33.38	23	1 3 1
34.07	100	1 7 0
37.11	24	1 5 1
39.31	28	2 0 0
42.17	8	1 7 1
49.39	15	0 0 2
52.99	21	2 6 1
61.36	23	1 7 2
64.87	13	2 0 2

=====

# 6
# PrIn4Au
=====
# Brief
Now filter the notes above: keep the lines with the word "position".
# Done
Principal peaks in the range 2θ = 10–80°, sorted by position:
Principal peaks in the range 2θ = 10–80°, sorted by position:
Principal peaks in the range 2θ = 10–80°, sorted by position:
Principal peaks in the range 2θ = 10–80°, sorted by position:
Principal peaks in the range 2θ = 10–80°, sorted by position: